_Listing_
<<<
For Cr2BiMoOsRh, a DFT-relaxed cell (PBE, Alexandria) gives the calculated powder diffraction line list in this record (Cu Kα).
Kinematic intensities with the Lorentz-polarization factor, no thermal factor.

Structure:
a = 9.200 Å, b = 3.035 Å, c = 7.234 Å
α = 90.00°, β = 107.36°, γ = 90.00°
Space group Cm (No. 8)
One atom of each set of equivalent atoms:
Cr (0.000, 0.000, 0.000) [2 per cell]
Cr (0.040, 0.500, 0.764) [2 per cell]
Bi (0.044, 0.000, 0.404) [2 per cell]
Mo (0.275, 0.000, 0.902) [2 per cell]
Os (0.309, 0.500, 0.615) [2 per cell]
Rh (0.232, 0.500, 0.190) [2 per cell]

Main lines, by angle (2θ from 15° to 90°):
- 2θ 27.13, rel. 333, (2 0 1)
- 2θ 27.70, rel. 321, (2 0 -2)
- 2θ 31.18, rel. 489, (1 1 0)
- 2θ 35.03, rel. 436, (1 1 1)
- 2θ 37.64, rel. 354, (2 0 2)
- 2θ 38.36, rel. 769, (2 0 -3)
- 2θ 38.81, rel. 321, (1 1 -2)
- 2θ 41.12, rel. 472, (4 0 0)
- 2θ 42.07, rel. 894, (3 1 -1)
- 2θ 42.91, rel. 1000, (1 1 2)
- 2θ 45.36, rel. 303, (3 1 -2)
- 2θ 74.44, rel. 368, (2 2 -3)
>>>

_To do_
Work out how many lines above have the word "Space" in them; a number is enough.

_Solution_
1